Thirty five new elements were inscribed on the UNESCO’s Representative List of the Intangible Cultural Heritage of Humanity during the last session of the Intergovernmental Committee for the Safeguarding of the Intangible Cultural Heritage meeting, held on 9-14 December in the Colombian capital – Bogota.
Among them 5 nominations are from the countries of South-East Europe.
# Unrelated to this entry: data records
-- begin --
A plane-wave DFT calculation with PBE-GGA was carried out for a geometry-optimized La3TlRu structure.

Unit cell a=13.149 b=10.039 c=9.660 alpha=90.00 beta=107.89 gamma=90.00
Space group C2/c (No. 15)
Symmetry-distinct sites (fractional):
La 0.088 0.184 0.458 x8
La 0.113 0.404 0.035 x8
La 0.242 0.421 0.806 x8
Tl 0.116 0.129 0.839 x8
Ru 0.000 0.362 0.250 x4
Ru 0.000 0.382 0.750 x4

Computed properties:
energy above the most stable polymorph in this dataset: 0.227 eV/atom
E_form: -0.16 eV per atom
-- stop --
# So much for the data records
Armenian letter art and its cultural expressions represents the centuries-old art of Armenian writing, the rich culture of decorating letters, and its numerous applications. The element is distinguished by its wide range of ornamental scripts, characterized by different shapes such as birds, animals and mythical creatures. Beyond its primary function to record and communicate information, Armenian letter art has penetrated almost all layers of society, particularly folk art. Educational institutions at all levels, youth centres and the Armenian Apostolic Church play a key role in its transmission.
Transhumance, the seasonal droving of livestock along migratory routes in the Mediterranean and Alps, is a form of pastoralism. Every year in spring and autumn, thousands of animals are driven by groups of herders along steady routes from dawn to dusk. The practice comprises horizontal transhumance, in plain or plateau regions, and vertical transhumance, typically in mountain regions. The practice shapes relations among people, animals and ecosystems and involves shared rituals and social practices, and is one of the most sustainable, efficient livestock farming methods.
As a living art spanning more than 2,000 years, the music system of the Byzantine chant is a significant cultural tradition that originated in the Byzantine Empire. Focused on musically enhancing the liturgical texts of the Greek Orthodox Church, it is inextricably linked to spiritual life and religious worship. This exclusively vocal music employs different rhythms to accentuate desired syllables of specific words. is transmitted through Church services and is flourishing thanks to the dedication of experts and non-experts alike.
Traditional Turkish archery – practised both on foot and on horseback – encompasses principles, rituals and social practices, the craftsmanship of traditional equipment manufacture, archery disciplines and shooting techniques that have evolved over centuries. Traditional archery equipment, generally decorated with calligraphy, ornaments and marquetry, is also a key component of the element, requiring specific skills and knowledge. Bearers and practitioners ensure the continued viability of the element by adapting it to contemporary conditions, and there has been a remarkable increase in female archers and trainees in recent years.
The tradition of Kosiv painted ceramics – dishes, ceremonial items, toys and tiles – arose in the 18th century and has a practical and artistic value. Made of local clay, the ceramics are characterized by their figurative designs, with the motifs depicting the history, life, folklore, beliefs and customs of the Hutsuls. Another characteristic feature of the ceramics is their traditional green, yellow and brown colours. Masters of the craft work in small, often family-owned workshops. The Kosiv College Department of Art Ceramics bears a special responsibility for sustaining the tradition.